(Job)
Start at the top of the rows further below and transcribe each line, ending with the one that has "1.593 2.859".

(Given)
- - -
59
Properties=species:S:1:pos:R:3:forces:R:3:mulliken_charge:R:1 method="wB97M-V/def2-TZVPD" total_charge=+1 relative_energy_kcal_mol=0.0 e_lumo_ev=-2.27 homo_energy_ev=-13.2230 largest_force_ev_per_a=1.31
H 0.454 2.879 -1.906 -0.248 0.676 0.223 0.407
H -2.840 0.548 0.331 -0.562 0.069 0.069 0.534
H 0.601 0.091 -0.734 0.170 0.186 0.267 0.479
O -1.426 3.679 1.092 0.035 0.031 0.034 -0.614
C -0.401 -1.362 0.565 0.365 -0.273 -0.668 -0.023
H -3.484 -1.534 0.308 -0.696 -0.433 -0.180 0.308
H -2.195 -3.023 -0.957 0.196 -0.088 -0.228 0.332
N 0.233 -0.597 1.682 0.120 -0.072 -0.224 0.218
O -1.344 -3.335 -1.364 -0.438 -0.599 -0.146 -0.656
H 4.247 0.091 2.051 -0.028 -0.095 -0.012 0.314
H 2.758 -0.855 -1.550 0.379 0.151 0.487 0.440
H 2.030 1.154 -2.391 0.385 0.649 0.151 0.379
H 1.344 2.243 -0.248 -0.026 0.303 0.769 0.314
H -0.606 -2.117 -4.420 -0.071 -0.020 -0.188 0.299
O 3.428 0.447 1.690 -0.104 -0.008 -0.372 -0.767
C -0.081 -0.746 -0.815 -0.631 -0.056 -0.495 -0.358
O -3.525 -2.421 -0.125 0.087 0.087 0.106 -0.594
H -2.453 0.520 2.397 0.144 -0.002 0.418 0.385
O 1.340 -2.964 0.413 -0.293 -0.311 0.141 -0.540
H -0.514 -3.573 0.924 -0.158 -0.524 0.278 0.434
H 3.398 0.136 0.751 0.052 -0.075 0.327 0.377
H 0.437 -1.497 -1.416 -0.140 0.200 0.221 0.375
H 3.505 2.253 1.791 -0.025 0.709 0.351 0.434
O 3.018 -0.954 -0.606 -0.666 -0.672 -0.241 -0.849
H 0.137 -1.101 2.597 -0.186 0.351 -0.079 0.555
H -0.503 3.367 0.947 -0.491 0.039 -0.139 0.421
O 2.130 -0.442 -3.135 -0.439 -0.280 -0.535 -0.576
H 2.477 -1.733 -0.325 0.673 0.540 0.054 0.411
O -0.769 -1.628 4.035 -0.029 -0.053 -0.287 -0.677
O -3.435 0.094 1.004 0.717 0.166 -0.266 -0.774
O -1.786 0.639 3.119 -0.476 0.101 -0.583 -0.751
O -0.394 3.268 -1.598 -0.332 -0.758 -1.016 -0.780
H -1.313 1.734 -1.212 -0.568 -0.536 0.338 0.326
O 2.030 2.021 -1.907 -0.184 -0.468 -0.244 -0.684
H 1.332 -0.978 -3.386 0.333 0.168 0.092 0.348
H 2.880 2.467 -2.000 -0.052 -0.242 -0.150 0.247
C 0.166 -2.789 0.631 0.447 0.755 -0.001 -0.446
H -4.246 0.606 1.077 -0.089 0.100 -0.152 0.299
H -1.377 -0.866 3.920 0.242 -0.117 0.378 0.390
H -4.444 -2.674 -0.289 0.243 0.298 0.171 0.269
H -1.480 -4.295 -1.468 0.238 0.491 0.004 0.316
O 1.038 2.513 0.648 0.077 -0.355 -0.191 -0.637
H -1.476 -1.381 0.720 0.109 0.046 0.356 0.431
H -0.207 3.984 -0.994 0.440 0.058 0.102 0.258
O -0.010 -2.111 -3.669 0.176 0.028 0.052 -0.654
O -1.872 0.925 -1.018 0.387 0.715 0.256 -0.600
H -0.503 -1.663 4.958 -0.060 0.013 -0.021 0.287
H 3.435 3.587 2.666 0.081 -0.176 0.069 0.309
H 2.748 -0.551 -3.871 -0.023 0.035 0.098 0.271
H 1.223 -0.400 1.512 0.176 -0.058 -0.118 0.177
H -2.134 -0.974 -1.582 0.154 -0.101 -0.173 0.474
H -1.910 1.543 3.418 0.073 0.213 0.117 0.303
H 1.807 2.942 1.087 -0.022 -0.156 -0.054 0.402
H -1.034 -0.042 -2.626 -0.036 -0.138 0.020 0.288
H -1.730 4.109 0.279 0.106 -0.251 0.404 0.282
C -1.322 -0.248 -1.593 0.448 0.261 0.305 -0.881
H -0.493 -2.529 -2.937 -0.118 -0.171 0.029 0.294
O 3.353 3.234 1.776 0.086 -0.523 -0.319 -0.692
H -0.241 0.307 1.751 0.053 0.177 0.394 0.169

---

147
Properties=species:S:1:pos:R:3:forces:R:3:mulliken_charge:R:1 method="wB97M-V/def2-TZVPD" total_charge=+4 relative_energy_kcal_mol=0.0 multiplicity=4 s2=3.763 e_lumo_ev="-9.79 / -9.90" homo_energy_ev="-17.9079 / -17.8993" largest_force_ev_per_a=2.06
C 1.307 -4.287 -1.668 -0.105 0.705 1.547 -0.371
C 2.246 4.189 -1.912 1.219 0.076 0.877 -0.757
C -2.657 -1.877 1.347 -0.778 0.422 0.124 -0.756
H -4.530 1.696 -4.368 0.131 -0.109 0.067 0.432
O -0.458 -1.221 -1.365 -0.579 -0.319 -0.314 -1.407
H 4.995 -1.422 4.465 -0.228 -0.037 0.342 0.308
H -0.730 -4.352 -0.078 -0.427 0.020 0.106 -0.323
H -2.215 3.354 -1.977 0.079 0.098 0.151 0.246
C -2.195 -5.746 -0.867 0.402 -0.263 0.619 -0.607
H 1.534 -6.893 -1.542 -0.049 0.361 -0.183 0.555
H -1.593 6.696 2.467 -0.159 -0.011 -0.105 0.474
H 0.174 -2.775 4.202 0.153 -0.226 -0.115 0.340
C -1.092 -4.734 -1.037 1.623 0.581 0.501 0.379
H 1.593 2.859 -0.353 -0.099 0.038 0.090 -0.050
C 0.364 4.123 1.398 0.178 -1.127 0.142 0.152
- - -

(Done)
59
Properties=species:S:1:pos:R:3:forces:R:3:mulliken_charge:R:1 method="wB97M-V/def2-TZVPD" total_charge=+1 relative_energy_kcal_mol=0.0 e_lumo_ev=-2.27 homo_energy_ev=-13.2230 largest_force_ev_per_a=1.31
H 0.454 2.879 -1.906 -0.248 0.676 0.223 0.407
H -2.840 0.548 0.331 -0.562 0.069 0.069 0.534
H 0.601 0.091 -0.734 0.170 0.186 0.267 0.479
O -1.426 3.679 1.092 0.035 0.031 0.034 -0.614
C -0.401 -1.362 0.565 0.365 -0.273 -0.668 -0.023
H -3.484 -1.534 0.308 -0.696 -0.433 -0.180 0.308
H -2.195 -3.023 -0.957 0.196 -0.088 -0.228 0.332
N 0.233 -0.597 1.682 0.120 -0.072 -0.224 0.218
O -1.344 -3.335 -1.364 -0.438 -0.599 -0.146 -0.656
H 4.247 0.091 2.051 -0.028 -0.095 -0.012 0.314
H 2.758 -0.855 -1.550 0.379 0.151 0.487 0.440
H 2.030 1.154 -2.391 0.385 0.649 0.151 0.379
H 1.344 2.243 -0.248 -0.026 0.303 0.769 0.314
H -0.606 -2.117 -4.420 -0.071 -0.020 -0.188 0.299
O 3.428 0.447 1.690 -0.104 -0.008 -0.372 -0.767
C -0.081 -0.746 -0.815 -0.631 -0.056 -0.495 -0.358
O -3.525 -2.421 -0.125 0.087 0.087 0.106 -0.594
H -2.453 0.520 2.397 0.144 -0.002 0.418 0.385
O 1.340 -2.964 0.413 -0.293 -0.311 0.141 -0.540
H -0.514 -3.573 0.924 -0.158 -0.524 0.278 0.434
H 3.398 0.136 0.751 0.052 -0.075 0.327 0.377
H 0.437 -1.497 -1.416 -0.140 0.200 0.221 0.375
H 3.505 2.253 1.791 -0.025 0.709 0.351 0.434
O 3.018 -0.954 -0.606 -0.666 -0.672 -0.241 -0.849
H 0.137 -1.101 2.597 -0.186 0.351 -0.079 0.555
H -0.503 3.367 0.947 -0.491 0.039 -0.139 0.421
O 2.130 -0.442 -3.135 -0.439 -0.280 -0.535 -0.576
H 2.477 -1.733 -0.325 0.673 0.540 0.054 0.411
O -0.769 -1.628 4.035 -0.029 -0.053 -0.287 -0.677
O -3.435 0.094 1.004 0.717 0.166 -0.266 -0.774
O -1.786 0.639 3.119 -0.476 0.101 -0.583 -0.751
O -0.394 3.268 -1.598 -0.332 -0.758 -1.016 -0.780
H -1.313 1.734 -1.212 -0.568 -0.536 0.338 0.326
O 2.030 2.021 -1.907 -0.184 -0.468 -0.244 -0.684
H 1.332 -0.978 -3.386 0.333 0.168 0.092 0.348
H 2.880 2.467 -2.000 -0.052 -0.242 -0.150 0.247
C 0.166 -2.789 0.631 0.447 0.755 -0.001 -0.446
H -4.246 0.606 1.077 -0.089 0.100 -0.152 0.299
H -1.377 -0.866 3.920 0.242 -0.117 0.378 0.390
H -4.444 -2.674 -0.289 0.243 0.298 0.171 0.269
H -1.480 -4.295 -1.468 0.238 0.491 0.004 0.316
O 1.038 2.513 0.648 0.077 -0.355 -0.191 -0.637
H -1.476 -1.381 0.720 0.109 0.046 0.356 0.431
H -0.207 3.984 -0.994 0.440 0.058 0.102 0.258
O -0.010 -2.111 -3.669 0.176 0.028 0.052 -0.654
O -1.872 0.925 -1.018 0.387 0.715 0.256 -0.600
H -0.503 -1.663 4.958 -0.060 0.013 -0.021 0.287
H 3.435 3.587 2.666 0.081 -0.176 0.069 0.309
H 2.748 -0.551 -3.871 -0.023 0.035 0.098 0.271
H 1.223 -0.400 1.512 0.176 -0.058 -0.118 0.177
H -2.134 -0.974 -1.582 0.154 -0.101 -0.173 0.474
H -1.910 1.543 3.418 0.073 0.213 0.117 0.303
H 1.807 2.942 1.087 -0.022 -0.156 -0.054 0.402
H -1.034 -0.042 -2.626 -0.036 -0.138 0.020 0.288
H -1.730 4.109 0.279 0.106 -0.251 0.404 0.282
C -1.322 -0.248 -1.593 0.448 0.261 0.305 -0.881
H -0.493 -2.529 -2.937 -0.118 -0.171 0.029 0.294
O 3.353 3.234 1.776 0.086 -0.523 -0.319 -0.692
H -0.241 0.307 1.751 0.053 0.177 0.394 0.169

---

147
Properties=species:S:1:pos:R:3:forces:R:3:mulliken_charge:R:1 method="wB97M-V/def2-TZVPD" total_charge=+4 relative_energy_kcal_mol=0.0 multiplicity=4 s2=3.763 e_lumo_ev="-9.79 / -9.90" homo_energy_ev="-17.9079 / -17.8993" largest_force_ev_per_a=2.06
C 1.307 -4.287 -1.668 -0.105 0.705 1.547 -0.371
C 2.246 4.189 -1.912 1.219 0.076 0.877 -0.757
C -2.657 -1.877 1.347 -0.778 0.422 0.124 -0.756
H -4.530 1.696 -4.368 0.131 -0.109 0.067 0.432
O -0.458 -1.221 -1.365 -0.579 -0.319 -0.314 -1.407
H 4.995 -1.422 4.465 -0.228 -0.037 0.342 0.308
H -0.730 -4.352 -0.078 -0.427 0.020 0.106 -0.323
H -2.215 3.354 -1.977 0.079 0.098 0.151 0.246
C -2.195 -5.746 -0.867 0.402 -0.263 0.619 -0.607
H 1.534 -6.893 -1.542 -0.049 0.361 -0.183 0.555
H -1.593 6.696 2.467 -0.159 -0.011 -0.105 0.474
H 0.174 -2.775 4.202 0.153 -0.226 -0.115 0.340
C -1.092 -4.734 -1.037 1.623 0.581 0.501 0.379
H 1.593 2.859 -0.353 -0.099 0.038 0.090 -0.050